
x33g5p2x  于2022-01-29 转载在 其他  



[英]Is class var defined? Ruby C equivalent = "rb_cvar_defined"
[中]是否定义了类变量?Ruby C equired=“rb_cvar_defined”


代码示例来源:origin: org.jruby/jruby-core

public static RubyClass getClassFromPath(Ruby runtime, String path) {
  final RubyModule value = getConstantFromPath(runtime, path);
  if ( ! value.isClass() ) throw runtime.newArgumentError(path + " does not refer class");
  return (RubyClass) value;

代码示例来源:origin: org.jruby/jruby-complete

public static RubyClass getClassFromPath(Ruby runtime, String path) {
  final RubyModule value = getConstantFromPath(runtime, path);
  if ( ! value.isClass() ) throw runtime.newArgumentError(path + " does not refer class");
  return (RubyClass) value;

代码示例来源:origin: com.ning.billing/killbill-osgi-bundles-jruby

public static RubyClass getClassFromPath(Ruby runtime, String path) {
  RubyModule value = runtime.getClassFromPath(path);
  if (!value.isClass()) throw runtime.newArgumentError(path + " does not refer class");
  return (RubyClass)value;

代码示例来源:origin: org.kill-bill.billing/killbill-osgi-bundles-jruby

public static RubyClass getClassFromPath(Ruby runtime, String path) {
  RubyModule value = runtime.getClassFromPath(path);
  if (!value.isClass()) throw runtime.newArgumentError(path + " does not refer class");
  return (RubyClass)value;

代码示例来源:origin: org.jruby/jruby-core

public final void checkFrozen() {
  if ( isFrozen() ) {
    throw getRuntime().newFrozenError(isClass() ? "class" : "module");

代码示例来源:origin: org.jruby/jruby-complete

public final void checkFrozen() {
  if ( isFrozen() ) {
    throw getRuntime().newFrozenError(isClass() ? "class" : "module");

代码示例来源:origin: org.jruby/jruby-complete

private IRubyObject getConstantSkipAutoload(String name, boolean inherit, boolean includeObject) {
  IRubyObject constant = iterateConstantNoConstMissing(name, this, inherit, false);
  if (constant == null && !isClass() && includeObject) {
    constant = iterateConstantNoConstMissing(name, getRuntime().getObject(), inherit, false);
  return constant;

代码示例来源:origin: org.jruby/jruby-complete

public IRubyObject getConstantNoConstMissing(String name, boolean inherit, boolean includeObject) {
  IRubyObject constant = iterateConstantNoConstMissing(name, this, inherit, true);
  if (constant == null && !isClass() && includeObject) {
    constant = iterateConstantNoConstMissing(name, getRuntime().getObject(), inherit, true);
  return constant;

代码示例来源:origin: org.jruby/jruby-core

private IRubyObject getConstantSkipAutoload(String name, boolean inherit, boolean includeObject) {
  IRubyObject constant = iterateConstantNoConstMissing(name, this, inherit, false);
  if (constant == null && !isClass() && includeObject) {
    constant = iterateConstantNoConstMissing(name, getRuntime().getObject(), inherit, false);
  return constant;

代码示例来源:origin: org.jruby/jruby-core

public IRubyObject getConstantNoConstMissing(String name, boolean inherit, boolean includeObject) {
  IRubyObject constant = iterateConstantNoConstMissing(name, this, inherit, true);
  if (constant == null && !isClass() && includeObject) {
    constant = iterateConstantNoConstMissing(name, getRuntime().getObject(), inherit, true);
  return constant;

代码示例来源:origin: com.ning.billing/killbill-osgi-bundles-jruby

public IRubyObject getConstantNoConstMissing(String name, boolean inherit, boolean includeObject) {
  assert IdUtil.isConstant(name);
  IRubyObject constant = iterateConstantNoConstMissing(name, this, inherit);
  if (constant == null && !isClass() && includeObject) {
    constant = iterateConstantNoConstMissing(name, getRuntime().getObject(), inherit);
  return constant;

代码示例来源:origin: org.kill-bill.billing/killbill-osgi-bundles-jruby

public IRubyObject getConstantNoConstMissing(String name, boolean inherit, boolean includeObject) {
  assert IdUtil.isConstant(name);
  IRubyObject constant = iterateConstantNoConstMissing(name, this, inherit);
  if (constant == null && !isClass() && includeObject) {
    constant = iterateConstantNoConstMissing(name, getRuntime().getObject(), inherit);
  return constant;

代码示例来源:origin: com.ning.billing/killbill-osgi-bundles-jruby

Crystal structures, kept here for reference >
<<<
The following is a PBE calculation of crystalline NaZrAl at its relaxed geometry, from Alexandria.

Summary:
E_tot	-4.3837	eV/atom
DFT formation energy	0.15	eV/atom

Cell lengths 6.349, 4.420, 9.069 Å; angles 90.00, 90.00, 90.00 degrees
Atoms (fractional coordinates):
Zr (0.075, 0.750, 0.876)
Zr (0.925, 0.250, 0.124)
Zr (0.575, 0.750, 0.624)
Zr (0.425, 0.250, 0.376)
Na (0.597, 0.750, 0.961)
Na (0.403, 0.250, 0.039)
Na (0.903, 0.250, 0.461)
Na (0.097, 0.750, 0.539)
Al (0.188, 0.750, 0.218)
Al (0.812, 0.250, 0.782)
Al (0.312, 0.250, 0.718)
Al (0.688, 0.750, 0.282)



The following is a PBE calculation of crystalline TmLu2Al at its relaxed geometry, from Alexandria.

Summary:
E_tot	-4.1940	eV/atom
DFT formation energy	0.12	eV/atom

Cell lengths 3.374, 3.374, 11.455 Å; angles 81.53, 81.53, 60.00 degrees
Last column: magnetic moment on the atom in μB.
Atoms (fractional coordinates):
Al (0.500, 0.500, 0.500)  0.00
Lu (0.901, 0.901, 0.297)  0.09
Lu (0.099, 0.099, 0.703)  0.09
Tm (0.000, 0.000, 0.000)  0.42



The following is a PBE calculation of crystalline CsSrAlTe3 at its relaxed geometry, from Alexandria.

Summary:
E_tot	-3.4811	eV/atom

Cell lengths 5.598, 9.468, 9.968 Å; angles 102.58, 90.00, 107.20 degrees
Atoms (fractional coordinates):
Al (0.983, 0.965, 0.715)
Al (0.017, 0.035, 0.285)
Sr (0.642, 0.283, 0.554)
Sr (0.358, 0.717, 0.446)
Te (0.867, 0.734, 0.249)
Te (0.499, 0.998, 0.271)
Te (0.834, 0.667, 0.656)
Te (0.166, 0.333, 0.344)
Te (0.133, 0.266, 0.751)
Te (0.501, 0.002, 0.729)
Cs (0.654, 0.308, 0.059)
Cs (0.346, 0.692, 0.941)



The following is a PBE calculation of crystalline La2Y3Ho2 at its relaxed geometry, from Alexandria.

Summary:
E_tot	-5.4107	eV/atom
DFT formation energy	0.08	eV/atom

Cell lengths 3.571, 12.039, 5.764 Å; angles 76.13, 90.00, 98.55 degrees
Atoms (fractional coordinates):
Y (0.000, 0.000, 0.000)
Y (0.726, 0.453, 0.274)
Y (0.274, 0.547, 0.726)
Ho (0.637, 0.275, 0.863)
Ho (0.363, 0.725, 0.137)
La (0.912, 0.824, 0.588)
La (0.088, 0.176, 0.412)



The following is a PBE calculation of crystalline Dy3GaBr3 at its relaxed geometry, from Alexandria.

Summary:
E_tot	-4.3811	eV/atom

Cell lengths 10.114, 10.114, 10.114 Å; angles 109.47, 109.47, 109.47 degrees
Atoms (fractional coordinates):
Br (0.489, 0.744, 0.994)
Br (0.256, 0.744, 0.250)
Br (0.006, 0.250, 0.994)
Br (0.750, 0.756, 0.744)
Br (0.011, 0.506, 0.756)
Br (0.244, 0.250, 0.756)
Br (0.256, 0.511, 0.506)
Br (0.006, 0.756, 0.511)
Br (0.244, 0.994, 0.989)
Br (0.494, 0.989, 0.744)
Br (0.494, 0.506, 0.250)
Br (0.750, 0.994, 0.506)
Dy (0.250, 0.010, 0.490)
Dy (0.250, 0.240, 0.260)
Dy (0.521, 0.260, 0.010)
Dy (0.740, 0.260, 0.750)
Dy (0.990, 0.750, 0.010)
Dy (0.760, 0.010, 0.021)
Dy (0.760, 0.750, 0.240)
Dy (0.979, 0.490, 0.240)
Dy (0.990, 0.240, 0.479)
Dy (0.510, 0.490, 0.750)
Dy (0.740, 0.479, 0.490)
Dy (0.510, 0.021, 0.260)
Ga (0.750, 0.500, 0.000)
Ga (0.000, 0.000, 0.250)
Ga (0.750, 0.250, 0.250)
Ga (0.500, 0.250, 0.500)
>>>

public static String getPathFromClass(RubyModule clazz) {
  String path = clazz.getName();
  if (path.charAt(0) == '#') {
    String classOrModule = clazz.isClass() ? "class" : "module";
    throw clazz.getRuntime().newTypeError("can't dump anonymous " + classOrModule + " " + path);
  RubyModule real = clazz.isModule() ? clazz : ((RubyClass)clazz).getRealClass();
  if (clazz.getRuntime().getClassFromPath(path) != real) {
    throw clazz.getRuntime().newTypeError(path + " can't be referred");
  return path;

代码示例来源:origin: org.kill-bill.billing/killbill-osgi-bundles-jruby

public static String getPathFromClass(RubyModule clazz) {
  String path = clazz.getName();
  if (path.charAt(0) == '#') {
    String classOrModule = clazz.isClass() ? "class" : "module";
    throw clazz.getRuntime().newTypeError("can't dump anonymous " + classOrModule + " " + path);
  RubyModule real = clazz.isModule() ? clazz : ((RubyClass)clazz).getRealClass();
  if (clazz.getRuntime().getClassFromPath(path) != real) {
    throw clazz.getRuntime().newTypeError(path + " can't be referred");
  return path;

代码示例来源:origin: org.jruby/jruby-complete

/** separate path for MetaClass construction
protected RubyModule(Ruby runtime, RubyClass metaClass, boolean objectSpace) {
  super(runtime, metaClass, objectSpace);
  id = runtime.allocModuleId();
  // if (parent == null) parent = runtime.getObject();
  setFlag(NEEDSIMPL_F, !isClass());
  if (runtime.getInstanceConfig().isProfiling()) {
    cacheEntryFactory = new ProfilingCacheEntryFactory(runtime, NormalCacheEntryFactory);
  } else {
    cacheEntryFactory = NormalCacheEntryFactory;
  // set up an invalidator for use in new optimization strategies
  methodInvalidator = OptoFactory.newMethodInvalidator(this);

代码示例来源:origin: com.ning.billing/killbill-osgi-bundles-jruby

/** separate path for MetaClass construction
protected RubyModule(Ruby runtime, RubyClass metaClass, boolean objectSpace) {
  super(runtime, metaClass, objectSpace);
  id = runtime.allocModuleId();
  // if (parent == null) parent = runtime.getObject();
  setFlag(USER7_F, !isClass());
  generationObject = generation = runtime.getNextModuleGeneration();
  if (runtime.getInstanceConfig().isProfiling()) {
    cacheEntryFactory = new ProfilingCacheEntryFactory(NormalCacheEntryFactory);
  } else {
    cacheEntryFactory = NormalCacheEntryFactory;
  // set up an invalidator for use in new optimization strategies
  methodInvalidator = OptoFactory.newMethodInvalidator(this);

代码示例来源:origin: org.kill-bill.billing/killbill-osgi-bundles-jruby

/** separate path for MetaClass construction
protected RubyModule(Ruby runtime, RubyClass metaClass, boolean objectSpace) {
  super(runtime, metaClass, objectSpace);
  id = runtime.allocModuleId();
  // if (parent == null) parent = runtime.getObject();
  setFlag(USER7_F, !isClass());
  generationObject = generation = runtime.getNextModuleGeneration();
  if (runtime.getInstanceConfig().isProfiling()) {
    cacheEntryFactory = new ProfilingCacheEntryFactory(NormalCacheEntryFactory);
  } else {
    cacheEntryFactory = NormalCacheEntryFactory;
  // set up an invalidator for use in new optimization strategies
  methodInvalidator = OptoFactory.newMethodInvalidator(this);

代码示例来源:origin: org.jruby/jruby-core

/** separate path for MetaClass construction
protected RubyModule(Ruby runtime, RubyClass metaClass, boolean objectSpace) {
  super(runtime, metaClass, objectSpace);
  id = runtime.allocModuleId();
  // if (parent == null) parent = runtime.getObject();
  setFlag(NEEDSIMPL_F, !isClass());
  if (runtime.getInstanceConfig().isProfiling()) {
    cacheEntryFactory = new ProfilingCacheEntryFactory(runtime, NormalCacheEntryFactory);
  } else {
    cacheEntryFactory = NormalCacheEntryFactory;
  // set up an invalidator for use in new optimization strategies
  methodInvalidator = OptoFactory.newMethodInvalidator(this);

代码示例来源:origin: org.jruby/jruby-complete

public static String getPathFromClass(RubyModule clazz) {
  RubyString path = clazz.rubyName();
  if (path.charAt(0) == '#') {
    Ruby runtime = clazz.getRuntime();
    String type = clazz.isClass() ? "class" : "module";
    throw runtime.newTypeError(str(runtime, "can't dump anonymous " + type + " ", types(runtime, clazz)));
  RubyModule real = clazz.isModule() ? clazz : ((RubyClass)clazz).getRealClass();
  Ruby runtime = clazz.getRuntime();
  // FIXME: This is weird why we do this.  rubyName should produce something which can be referred so what example
  // will this fail on?  If there is a failing case then passing asJavaString may be broken since it will not be
  // a properly encoded string.  If this is an issue we should make a clazz.IdPath where all segments are returned
  // by their id names.
  if (runtime.getClassFromPath(path.asJavaString()) != real) {
    throw runtime.newTypeError(str(runtime, types(runtime, clazz), " can't be referred"));
  return path.asJavaString();

代码示例来源:origin: org.jruby/jruby-core

public static String getPathFromClass(RubyModule clazz) {
  RubyString path = clazz.rubyName();
  if (path.charAt(0) == '#') {
    Ruby runtime = clazz.getRuntime();
    String type = clazz.isClass() ? "class" : "module";
    throw runtime.newTypeError(str(runtime, "can't dump anonymous " + type + " ", types(runtime, clazz)));
  RubyModule real = clazz.isModule() ? clazz : ((RubyClass)clazz).getRealClass();
  Ruby runtime = clazz.getRuntime();
  // FIXME: This is weird why we do this.  rubyName should produce something which can be referred so what example
  // will this fail on?  If there is a failing case then passing asJavaString may be broken since it will not be
  // a properly encoded string.  If this is an issue we should make a clazz.IdPath where all segments are returned
  // by their id names.
  if (runtime.getClassFromPath(path.asJavaString()) != real) {
    throw runtime.newTypeError(str(runtime, types(runtime, clazz), " can't be referred"));
  return path.asJavaString();




